African Journal of Virology Research

ISSN 2756-3413

Table of Contents in 2011

Research Article

Phytochemical screening and antibacterial activity of Gmelina arborea fruit extracts

Alagwa D. Kenneth*, Imemesiri Friday and David West

Page: 1 - 6

African Journal of Virology Research

Research Article

Microbial evaluation of some non-sterile pharmaceutical preparations commonly used at Al-khoms Market, Libya

Tamalli M, Bioprabhu Sangar and Alghazal M.A., M.A.B. Gamal

Page: 1 - 6

African Journal of Virology Research

Research Article

Effect of composts or vermicomposts on sorghum growth and mycorrhizal colonization

B. Hameeda, O.P. Rupela and Gopal Reddy*, G. Harini

Page: 1 - 4

African Journal of Virology Research

Research Article

Microorganisms associated with the preparation of plantain pudding in Western Nigeria

K. , Ogiehor , S. I. and Uwabor, R. E., I. B., Ohenhen , Enweani

Page: 1 - 4

African Journal of Virology Research

Research Article

Evaluation of hydrogen sulphide test for detection of fecal coliform contamination in drinking water from various sources

P. N. Rajankar and S. S. Deshmukh, D. H. Tambekar*, N. B. Hirulkar, S. R.Gulhane

Page: 1 - 5

African Journal of Virology Research

Research Article

Evaluation of ogi liquor from different grains for antibacterial activities against some common diarrhoeal bacteria in Southwest Nigeria

T. T.*, A. O. and Ihunweze, Adebolu , Olodun , B. C.

Page: 1 - 4

African Journal of Virology Research

Research Article

Analysis of bacterial strains from contaminated and non-contaminated sites for the production of biopolymers

Nighat Naheed and Shahida Hasnain, M. Usman Arshad, Nazia Jamil*

Page: 1 - 7

African Journal of Virology Research

Research Article

Proximate and microbial analyses of burukutu and pito produced in Ilorin, Nigeria

Kolawole , R. M. O. and Akinduyo, B. , O. M.*, Kayode

Page: 1 - 4

African Journal of Virology Research

Research Article

____________
# ScSiAsBr2
Calculated X-ray diffraction stick pattern, Cu Kα (λ = 1.5418 Å). Input: a cell relaxed with GGA-PBE.
Kinematic intensities with the Lorentz-polarization factor, no thermal factor.

Crystal structure
Cell lengths 5.084, 5.084, 5.523 Å; angles 90.00, 90.00, 90.00 degrees
Fractional coordinates of all 5 atoms:
1 Sc 0.000 0.000 0.000
2 Si 0.500 0.500 0.500
3 As 0.000 0.000 0.500
4 Br 0.000 0.500 0.000
5 Br 0.500 0.000 0.000

Main lines, sorted by position (2θ from 5° to 70°):
2θ/deg, I (rel.)
16.05, 23
17.44, 32
29.65, 100
32.42, 39
35.31, 61
48.69, 47
50.79, 21
56.13, 16
59.92, 26
61.56, 23



# As3SeBr
Calculated X-ray diffraction stick pattern, Cu Kα (λ = 1.5418 Å). Input: a cell relaxed with GGA-PBE.
Kinematic intensities with the Lorentz-polarization factor, no thermal factor.

Crystal structure
Cell lengths 5.086, 5.086, 5.086 Å; angles 90.00, 90.00, 90.00 degrees
Fractional coordinates of all 5 atoms:
1 As 0.000 0.000 0.500
2 As 0.000 0.500 0.000
3 As 0.500 0.000 0.000
4 Se 0.000 0.000 0.000
5 Br 0.500 0.500 0.500

Main lines, sorted by position (2θ from 5° to 70°):
2θ/deg, I (rel.)
17.44, 21
24.75, 24
30.44, 71
35.29, 100
39.62, 11
43.59, 10
50.77, 70
54.09, 5
60.36, 29
63.34, 24



# TcAs2SeBr
Calculated X-ray diffraction stick pattern, Cu Kα (λ = 1.5418 Å). Input: a cell relaxed with GGA-PBE.
Kinematic intensities with the Lorentz-polarization factor, no thermal factor.

Crystal structure
Cell lengths 4.912, 4.912, 4.796 Å; angles 90.00, 90.00, 90.00 degrees
Fractional coordinates of all 5 atoms:
1 Tc 0.000 0.000 0.000
2 As 0.000 0.500 0.000
3 As 0.500 0.000 0.000
4 Se 0.000 0.000 0.500
5 Br 0.500 0.500 0.500

Main lines, sorted by position (2θ from 5° to 70°):
2θ/deg, I (rel.)
18.06, 34
25.65, 17
25.96, 31
31.81, 79
36.59, 100
37.50, 47
52.70, 34
53.40, 66
62.89, 21
66.47, 34



# TlAs2SeBr
Calculated X-ray diffraction stick pattern, Cu Kα (λ = 1.5418 Å). Input: a cell relaxed with GGA-PBE.
Kinematic intensities with the Lorentz-polarization factor, no thermal factor.

Crystal structure
Cell lengths 4.951, 4.951, 7.989 Å; angles 90.00, 90.00, 90.00 degrees
Fractional coordinates of all 5 atoms:
1 Tl 0.000 0.000 0.000
2 As 0.000 0.500 0.500
3 As 0.500 0.000 0.500
4 Se 0.500 0.500 0.500
5 Br 0.500 0.500 0.000

Main lines, sorted by position (2θ from 5° to 70°):
2θ/deg, I (rel.)
21.11, 59
22.26, 92
25.44, 21
27.82, 100
36.29, 52
42.66, 32
42.98, 65
57.48, 27
59.46, 25
60.23, 23



# SiAs2Br
Calculated X-ray diffraction stick pattern, Cu Kα (λ = 1.5418 Å). Input: a cell relaxed with GGA-PBE.
Kinematic intensities with the Lorentz-polarization factor, no thermal factor.

Crystal structure
Cell lengths 4.718, 3.766, 5.460 Å; angles 90.00, 108.63, 90.00 degrees
Fractional coordinates of all 4 atoms:
1 Si 0.000 0.000 0.000
2 As 0.375 0.500 0.160
3 As 0.625 0.500 0.840
4 Br 0.000 0.000 0.500

Main lines, sorted by position (2θ from 5° to 70°):
2θ/deg, I (rel.)
29.33, 44
30.31, 46
31.05, 100
34.05, 52
38.42, 19
42.39, 27
48.33, 20
____________

Seroprevalence of foot and mouth disease in Bench Maji zone,Southwestern Ethiopia

Tsegalem Abera and Kassahun Asmare, Esayas Gelaye*, Gelagay Ayelet

Page: 1 - 6

African Journal of Virology Research

____________
(1)
La3PrPt: simulated powder diffraction line list (copper Kα), based on a PBE-relaxed structure.
Kinematic intensities with the Lorentz-polarization factor, no thermal factor.

Structure:
Cell lengths 12.4336, 3.9385, 14.2964 Å; angles 90.00, 111.97, 90.00 degrees
Space group Cm (No. 8)
Symmetry-distinct sites (fractional):
1 La 0.0000 0.0000 0.0000 [2 per cell]
2 La 0.0198 0.0000 0.3768 [2 per cell]
3 La 0.1797 0.5000 0.2306 [2 per cell]
4 La 0.3017 0.5000 0.5239 [2 per cell]
5 La 0.3455 0.0000 0.7640 [2 per cell]
6 La 0.3684 0.0000 0.1418 [2 per cell]
7 Pr 0.0648 0.5000 0.6193 [2 per cell]
8 Pr 0.1880 0.5000 0.9087 [2 per cell]
9 Pt 0.0305 0.0000 0.7627 [2 per cell]
10 Pt 0.3324 0.0000 0.3803 [2 per cell]

Largest 12 diffraction maxima, sorted by position, 2θ = 5–70°:
index, 2theta, Rel. int.
2 0 -1, 14.28, 34
1 1 2, 28.86, 39
1 1 -3, 29.42, 88
2 0 3, 29.72, 54
4 0 -3, 30.01, 35
2 0 -5, 31.41, 50
3 1 -2, 31.70, 37
3 1 0, 32.55, 100
1 1 3, 33.27, 44
3 1 -3, 33.45, 52
0 2 0, 46.09, 42
7 1 -3, 56.86, 49


(2)
Hf12PaIn3: simulated powder diffraction line list (copper Kα), based on a PBE-relaxed structure.
Kinematic intensities with the Lorentz-polarization factor, no thermal factor.

Structure:
Cell lengths 4.4312, 4.4312, 18.0278 Å; angles 90.00, 90.00, 90.00 degrees
Space group P4/mmm (No. 123)
Symmetry-distinct sites (fractional):
1 Hf 0.0000 0.0000 0.0000 [1 per cell]
2 Hf 0.0000 0.0000 0.2458 [2 per cell]
3 Hf 0.0000 0.0000 0.5000 [1 per cell]
4 Hf 0.0000 0.5000 0.1222 [4 per cell]
5 Hf 0.0000 0.5000 0.3724 [4 per cell]
6 Pa 0.5000 0.5000 0.5000 [1 per cell]
7 In 0.5000 0.5000 0.0000 [1 per cell]
8 In 0.5000 0.5000 0.2470 [2 per cell]

Largest 9 diffraction maxima, sorted by position, 2θ = 5–70°:
index, 2theta, Rel. int.
0 0 2, 9.81, 1
1 0 1, 20.64, 1
1 1 3, 32.22, 1
1 1 4, 34.87, 100
0 0 8, 40.01, 17
2 0 0, 40.72, 33
2 0 8, 58.41, 22
2 2 0, 58.95, 11
1 1 12, 69.37, 13


(3)
NaMo2P: simulated powder diffraction line list (copper Kα), based on a PBE-relaxed structure.
Kinematic intensities with the Lorentz-polarization factor, no thermal factor.

Structure:
Cell lengths 4.6584, 4.6584, 17.3934 Å; angles 90.00, 90.00, 90.00 degrees
Space group I-42d (No. 122)
Symmetry-distinct sites (fractional):
1 Na 0.0000 0.0000 0.0000 [4 per cell]
2 Mo 0.0331 0.7500 0.6250 [8 per cell]
3 P 0.0000 0.0000 0.5000 [4 per cell]

Largest 12 diffraction maxima, sorted by position, 2θ = 5–70°:
index, 2theta, Rel. int.
1 0 1, 19.73, 100
0 0 4, 20.42, 43
1 0 3, 24.51, 47
1 1 2, 28.99, 18
1 0 5, 32.11, 24
2 0 2, 40.08, 53
0 0 8, 41.53, 28
2 1 1, 43.76, 23
2 1 3, 46.31, 23
2 0 6, 50.25, 27
2 1 5, 51.12, 24
2 2 4, 60.08, 26


(4)
ZnAgRu2: simulated powder diffraction line list (copper Kα), based on a PBE-relaxed structure.
Kinematic intensities with the Lorentz-polarization factor, no thermal factor.

Structure:
Cell lengths 2.8154, 2.8154, 7.5489 Å; angles 90.00, 90.00, 90.00 degrees
Space group P4mm (No. 99)
Symmetry-distinct sites (fractional):
____________
**The records of crystals stop here:**

Research Article

Production and application of glucose-fructose oxidoreductase for conversion of pineapple juice sugars

Y. A. Yusof and K. D. Kulbe, M. G. Aziz*

Page: 1 - 7

African Journal of Virology Research

Research Article

Antibiotic activity of bacterial isolates associated with entomopathogenic nematodes

Yan-Qun Liu, Huan Wang, Li Qin, Hui Dong, Bin Cong* and Tian-Lai Li*

Page: 1 - 7

African Journal of Virology Research

Research Article

Improve lipid production by pH shifted-strategy in batch culture of Chlorella protothecoides

Jianghong Tang and Quanfan Zhou, Guobin Liang, Yiwei Mo*

Page: 1 - 9

African Journal of Virology Research

Research Article

Poly-3-hydroxybutyrate production from methanol by Methylosinus trichosporium IMV3011 in the non-sterilized fed-batch fermentation

Weibao Kong and Chungu Xia*, Jiaying Xin, Hao Song, Yingxin Zhang

Page: 1 - 8

African Journal of Virology Research

Research Article

Isolation and molecular detection of Plesiomonas shigelloides containing tetA gene from Asian arowana (Scleropages formosus) in a Korean aquarium

Casiano H. Choresca Jr., Jin Woo Jun, Sang Phil Shin, Ji Hyung Kim, Jee Eun Han, Dal Sang Jeong and Se Chang Park*

Page: 1 - 3

African Journal of Virology Research

Research Article

Biodegradation of low density polyethylene (LDPE) by fungi isolated from marine water–a SEM analysis

[Materials data, as found in the file]
-- begin --
[1]
Starting from the PBE geometry in OQMD, the X-ray powder pattern of Re14W was calculated for Cu Kα.

Atomic structure:
```
Re14W
1.0
9.5179 0.0000 0.0000
0.0000 9.5179 0.0000
0.0000 0.0000 5.0126
Re W
28 2
direct
0.0355 0.3633 0.0000 Re
0.0666 0.2650 0.5000 Re
0.0959 0.0959 0.0000 Re
0.1367 0.5355 0.5000 Re
0.1841 0.8159 0.2485 Re
0.1841 0.8159 0.7515 Re
0.2350 0.5666 0.0000 Re
0.2650 0.0666 0.5000 Re
0.3159 0.3159 0.2515 Re
0.3159 0.3159 0.7485 Re
0.3633 0.0355 0.0000 Re
0.4041 0.5959 0.5000 Re
0.4334 0.7650 0.0000 Re
0.4645 0.8633 0.5000 Re
0.5355 0.1367 0.5000 Re
0.5666 0.2350 0.0000 Re
0.5959 0.4041 0.5000 Re
0.6367 0.9645 0.0000 Re
0.6841 0.6841 0.2515 Re
0.6841 0.6841 0.7485 Re
0.7350 0.9334 0.5000 Re
0.7650 0.4334 0.0000 Re
0.8159 0.1841 0.2485 Re
0.8159 0.1841 0.7515 Re
0.8633 0.4645 0.5000 Re
0.9041 0.9041 0.0000 Re
0.9334 0.7350 0.5000 Re
0.9645 0.6367 0.0000 Re
0.0000 0.0000 0.5000 W
0.5000 0.5000 0.0000 W
```

Most intense lines, 2θ = 10–80°, by angle:
- 2.506 Å, 35.83°, intensity 23
- 2.308 Å, 39.02°, intensity 96
- 2.243 Å, 40.20°, intensity 41
- 2.218 Å, 40.69°, intensity 38
- 2.160 Å, 41.83°, intensity 70
- 2.097 Å, 43.14°, intensity 100
- 2.048 Å, 44.23°, intensity 50
- 1.368 Å, 68.61°, intensity 18
- 1.354 Å, 69.44°, intensity 25
- 1.340 Å, 70.23°, intensity 23


[2]
Starting from the PBE geometry in OQMD, the X-ray powder pattern of Re13W16 was calculated for Cu Kα.

Atomic structure:
```
Re13W16
1.0
-4.8659 4.8659 4.8659
4.8659 -4.8659 4.8659
4.8659 4.8659 -4.8659
Re W
13 16
direct
0.0000 0.0000 0.0000 Re
0.0000 0.1914 0.3748 Re
0.0000 0.3748 0.1914 Re
0.1834 0.8086 0.8086 Re
0.1914 0.0000 0.3748 Re
0.1914 0.3748 0.0000 Re
0.3748 0.0000 0.1914 Re
0.3748 0.1914 0.0000 Re
0.6252 0.6252 0.8166 Re
0.6252 0.8166 0.6252 Re
0.8086 0.1834 0.8086 Re
0.8086 0.8086 0.1834 Re
0.8166 0.6252 0.6252 Re
0.0000 0.0000 0.6495 W
0.0000 0.4026 0.6855 W
0.0000 0.6495 0.0000 W
0.0000 0.6855 0.4026 W
0.2829 0.5974 0.5974 W
0.3145 0.3145 0.7171 W
0.3145 0.7171 0.3145 W
0.3505 0.3505 0.3505 W
0.4026 0.0000 0.6855 W
0.4026 0.6855 0.0000 W
0.5974 0.2829 0.5974 W
0.5974 0.5974 0.2829 W
0.6495 0.0000 0.0000 W
0.6855 0.0000 0.4026 W
0.6855 0.4026 0.0000 W
0.7171 0.3145 0.3145 W
```

Most intense lines, 2θ = 10–80°, by angle:
- 2.433 Å, 36.95°, intensity 8
- 2.294 Å, 39.28°, intensity 100
- 2.075 Å, 43.62°, intensity 29
- 1.986 Å, 45.67°, intensity 10
- 1.909 Å, 47.65°, intensity 18
- 1.405 Å, 66.57°, intensity 5
- 1.376 Å, 68.13°, intensity 10
- 1.324 Å, 71.20°, intensity 26
- 1.300 Å, 72.71°, intensity 6
- 1.236 Å, 77.18°, intensity 5

----------

K2RbCa2Cl7: computed PXRD pattern (Cu Kα (λ = 1.5418 Å)), based on a PBE-relaxed structure.
Kinematic intensities with the Lorentz-polarization factor, no thermal factor.

Main lines, in order of rising 2θ (5° ≤ 2θ ≤ 70°):
-- stop --

K. Vijaya Ramesh*, R. Pramila

Page: 1 - 6

African Journal of Virology Research